Brief:
Print only the last part of the notes below, starting with the line that has "C2/m (No.".

File:
********
The following is a PBE with a Hubbard U calculation of LiHo2Ag2W4O16 after structural relaxation, from Alexandria via LeMat-Bulk.

abc: 10.3886 10.9211 7.3545
angles: 90.00 128.61 90.00
Closest atoms and distances in Å follow each position.
Space group C2/m (No. 12)
One atom of each set of equivalent atoms:
Li  0.0000  0.0000  0.0000  4 O 1.97
Ho  0.0000  0.2874  0.0000  6 O 2.31-2.35
Ag  0.1894  0.5000  0.5325  1 O 2.26
W  0.0000  0.1607  0.5000  4 O 1.82-1.97
W  0.2368  0.0000  0.9764  3 O 1.85-1.91
O  0.0126  0.0000  0.3378  3 W 2.14-2.17
O  0.0360  0.5000  0.8468  1 W 1.85
O  0.0441  0.2597  0.3467  1 W 1.82
O  0.1701  0.1219  0.0888  1 W 1.91, 1 Li 1.97
O  0.2328  0.1300  0.7659  2 W 1.97-2.08

Properties
Its total moment is 1.00 μB/f.u. Its total energy is -176.7 eV per formula unit.

----------

First-principles (GGA-PBE) data for a relaxed KBaSb2 crystal, as listed in the Alexandria database.

The structure in POSCAR format:
```
KBaSb2
1.0
5.244 0.000 0.000
0.000 5.244 0.000
0.000 0.000 5.058
K Ba Sb
1 1 2
Direct
0.000 0.000 0.000 K
0.500 0.500 0.000 Ba
0.000 0.500 0.500 Sb
0.500 0.000 0.500 Sb
```

## Properties
Space group: P4/mmm (123)
Energy relative to the lowest polymorph listed for this composition (eV per atom): 0.067
Uncorrected energy (eV per atom): -3.40
Raw formation energy (eV per atom): -0.58

First-principles (GGA-PBE) data for a relaxed Na2TlH6Ir crystal, as listed in the Alexandria database.

The structure in POSCAR format:
```
Na2TlH6Ir
1.0
5.201 0.000 0.000
-2.600 4.504 0.000
0.000 0.000 6.696
Na Tl H Ir
2 1 6 1
Direct
0.333 0.667 0.093 Na
0.667 0.333 0.907 Na
0.000 0.000 0.500 Tl
0.150 0.300 0.849 H
0.150 0.850 0.849 H
0.300 0.150 0.151 H
0.700 0.850 0.849 H
0.850 0.150 0.151 H
0.850 0.700 0.151 H
0.000 0.000 0.000 Ir
```

## Properties
Space group: P-3m1 (164)
Uncorrected energy (eV per atom): -3.60

First-principles (GGA-PBE) data for a relaxed BeNbHRu2 crystal, as listed in the Alexandria database.

The structure in POSCAR format:
```
BeNbHRu2
1.0
4.139 0.000 0.000
0.000 4.139 0.000
0.000 0.000 3.330
Be Nb H Ru
1 1 1 2
Direct
0.000 0.000 0.000 Be
0.500 0.500 0.000 Nb
0.000 0.000 0.500 H
0.000 0.500 0.500 Ru
0.500 0.000 0.500 Ru
```

## Properties
Space group: P4/mmm (123)
Uncorrected energy (eV per atom): -7.30

First-principles (GGA-PBE) data for a relaxed CsNpHg2Cl8 crystal, as listed in the Alexandria database.

The structure in POSCAR format:
```
CsNpHg2Cl8
1.0
6.649 0.000 0.000
0.997 7.112 0.000
1.859 3.251 8.991
Cs Np Hg Cl
1 1 2 8
Direct
0.000 0.000 0.000 Cs
0.000 0.000 0.500 Np
0.469 0.461 0.222 Hg
0.531 0.539 0.778 Hg
0.126 0.722 0.746 Cl
0.213 0.804 0.329 Cl
0.317 0.233 0.464 Cl
0.444 0.260 0.005 Cl
0.556 0.740 0.995 Cl
0.683 0.767 0.536 Cl
0.787 0.196 0.671 Cl
0.874 0.278 0.254 Cl
```

## Properties
Space group: P-1 (2)
Uncorrected energy (eV per atom): -3.62
Raw formation energy (eV per atom): -1.19

First-principles (GGA-PBE) data for a relaxed Li4Mg2Cd3 crystal, as listed in the Alexandria database.

The structure in POSCAR format:
```
Li4Mg2Cd3
1.0
5.003 -1.935 0.000
5.003 1.935 0.000
-3.230 0.000 9.023
Li Mg Cd
4 2 3
Direct
0.161 0.161 0.048 Li
0.163 0.163 0.392 Li
0.837 0.837 0.608 Li
0.839 0.839 0.952 Li
0.168 0.168 0.725 Mg
0.832 0.832 0.275 Mg
0.492 0.492 0.834 Cd
0.500 0.500 0.500 Cd
0.508 0.508 0.166 Cd
```

## Properties
Space group: C2/m (12)
Energy relative to the lowest polymorph listed for this composition (eV per atom): 0.000
Uncorrected energy (eV per atom): -1.69
ΔE_f (kJ/mol of formula units): -160

First-principles (GGA-PBE) data for a relaxed Zr2CrHPt crystal, as listed in the Alexandria database.

The structure in POSCAR format:
```
Zr2CrHPt
1.0
4.595 0.000 0.000
0.000 4.595 0.000
0.000 0.000 3.470
Zr Cr H Pt
2 1 1 1
Direct
0.000 0.500 0.000 Zr
0.500 0.000 0.000 Zr
0.000 0.000 0.500 Cr
0.000 0.000 0.000 H
0.500 0.500 0.500 Pt
```

## Properties
Space group: P4/mmm (123)
Uncorrected energy (eV per atom): -7.65
********

Reply:
Space group C2/m (No. 12)
One atom of each set of equivalent atoms:
Li  0.0000  0.0000  0.0000  4 O 1.97
Ho  0.0000  0.2874  0.0000  6 O 2.31-2.35
Ag  0.1894  0.5000  0.5325  1 O 2.26
W  0.0000  0.1607  0.5000  4 O 1.82-1.97
W  0.2368  0.0000  0.9764  3 O 1.85-1.91
O  0.0126  0.0000  0.3378  3 W 2.14-2.17
O  0.0360  0.5000  0.8468  1 W 1.85
O  0.0441  0.2597  0.3467  1 W 1.82
O  0.1701  0.1219  0.0888  1 W 1.91, 1 Li 1.97
O  0.2328  0.1300  0.7659  2 W 1.97-2.08

Properties
Its total moment is 1.00 μB/f.u. Its total energy is -176.7 eV per formula unit.

----------

First-principles (GGA-PBE) data for a relaxed KBaSb2 crystal, as listed in the Alexandria database.

The structure in POSCAR format:
```
KBaSb2
1.0
5.244 0.000 0.000
0.000 5.244 0.000
0.000 0.000 5.058
K Ba Sb
1 1 2
Direct
0.000 0.000 0.000 K
0.500 0.500 0.000 Ba
0.000 0.500 0.500 Sb
0.500 0.000 0.500 Sb
```

## Properties
Space group: P4/mmm (123)
Energy relative to the lowest polymorph listed for this composition (eV per atom): 0.067
Uncorrected energy (eV per atom): -3.40
Raw formation energy (eV per atom): -0.58

First-principles (GGA-PBE) data for a relaxed Na2TlH6Ir crystal, as listed in the Alexandria database.

The structure in POSCAR format:
```
Na2TlH6Ir
1.0
5.201 0.000 0.000
-2.600 4.504 0.000
0.000 0.000 6.696
Na Tl H Ir
2 1 6 1
Direct
0.333 0.667 0.093 Na
0.667 0.333 0.907 Na
0.000 0.000 0.500 Tl
0.150 0.300 0.849 H
0.150 0.850 0.849 H
0.300 0.150 0.151 H
0.700 0.850 0.849 H
0.850 0.150 0.151 H
0.850 0.700 0.151 H
0.000 0.000 0.000 Ir
```

## Properties
Space group: P-3m1 (164)
Uncorrected energy (eV per atom): -3.60

First-principles (GGA-PBE) data for a relaxed BeNbHRu2 crystal, as listed in the Alexandria database.

The structure in POSCAR format:
```
BeNbHRu2
1.0
4.139 0.000 0.000
0.000 4.139 0.000
0.000 0.000 3.330
Be Nb H Ru
1 1 1 2
Direct
0.000 0.000 0.000 Be
0.500 0.500 0.000 Nb
0.000 0.000 0.500 H
0.000 0.500 0.500 Ru
0.500 0.000 0.500 Ru
```

## Properties
Space group: P4/mmm (123)
Uncorrected energy (eV per atom): -7.30

First-principles (GGA-PBE) data for a relaxed CsNpHg2Cl8 crystal, as listed in the Alexandria database.

The structure in POSCAR format:
```
CsNpHg2Cl8
1.0
6.649 0.000 0.000
0.997 7.112 0.000
1.859 3.251 8.991
Cs Np Hg Cl
1 1 2 8
Direct
0.000 0.000 0.000 Cs
0.000 0.000 0.500 Np
0.469 0.461 0.222 Hg
0.531 0.539 0.778 Hg
0.126 0.722 0.746 Cl
0.213 0.804 0.329 Cl
0.317 0.233 0.464 Cl
0.444 0.260 0.005 Cl
0.556 0.740 0.995 Cl
0.683 0.767 0.536 Cl
0.787 0.196 0.671 Cl
0.874 0.278 0.254 Cl
```

## Properties
Space group: P-1 (2)
Uncorrected energy (eV per atom): -3.62
Raw formation energy (eV per atom): -1.19

First-principles (GGA-PBE) data for a relaxed Li4Mg2Cd3 crystal, as listed in the Alexandria database.

The structure in POSCAR format:
```
Li4Mg2Cd3
1.0
5.003 -1.935 0.000
5.003 1.935 0.000
-3.230 0.000 9.023
Li Mg Cd
4 2 3
Direct
0.161 0.161 0.048 Li
0.163 0.163 0.392 Li
0.837 0.837 0.608 Li
0.839 0.839 0.952 Li
0.168 0.168 0.725 Mg
0.832 0.832 0.275 Mg
0.492 0.492 0.834 Cd
0.500 0.500 0.500 Cd
0.508 0.508 0.166 Cd
```

## Properties
Space group: C2/m (12)
Energy relative to the lowest polymorph listed for this composition (eV per atom): 0.000
Uncorrected energy (eV per atom): -1.69
ΔE_f (kJ/mol of formula units): -160

First-principles (GGA-PBE) data for a relaxed Zr2CrHPt crystal, as listed in the Alexandria database.

The structure in POSCAR format:
```
Zr2CrHPt
1.0
4.595 0.000 0.000
0.000 4.595 0.000
0.000 0.000 3.470
Zr Cr H Pt
2 1 1 1
Direct
0.000 0.500 0.000 Zr
0.500 0.000 0.000 Zr
0.000 0.000 0.500 Cr
0.000 0.000 0.000 H
0.500 0.500 0.500 Pt
```

## Properties
Space group: P4/mmm (123)
Uncorrected energy (eV per atom): -7.65